Anti marxist video game thread

Anti marxist video game thread

not welcome: french, canadians and germans.

**These calculated crystals were left in the entry by mistake:**
┌──
Arrangement 1

SmB4Pt: optimized geometry, PBE-GGA.

Cell: 5.0861 5.0861 5.0861 Å, 143.78 117.29 74.62°
Closest atoms and distances in Å follow each position.
Atoms (fractional coordinates):
Sm (0.0000, 0.0000, 0.0000)  12 B 2.68-2.71
B (0.0634, 0.7407, 0.3228)  3 B 1.77-1.88
B (0.4179, 0.7407, 0.6772)  3 B 1.77-1.88
B (0.5821, 0.2593, 0.3228)  3 B 1.77-1.88
B (0.9366, 0.2593, 0.6772)  3 B 1.77-1.88
Pt (0.5000, 0.5000, 0.0000)  12 B 2.59-2.79

Calculated values
SG ... No. 71
Size of the total moment ... 0.0 μB per formula unit
Crystal system ... orthorhombic



Arrangement 2

SmB4Pt: optimized geometry, PBE-GGA.

Cell: 3.2772 3.2772 6.9820 Å, 90.00 90.00 120.00°
Closest atoms and distances in Å follow each position.
Atoms (fractional coordinates):
Sm (0.0000, 0.0000, 0.0000)  12 B 2.71
B (0.3333, 0.6667, 0.2784)  3 B 1.89
B (0.3333, 0.6667, 0.7216)  3 B 1.89
B (0.6667, 0.3333, 0.2784)  3 B 1.89
B (0.6667, 0.3333, 0.7216)  3 B 1.89
Pt (0.0000, 0.0000, 0.5000)  12 B 2.44

Calculated values
SG ... No. 191
Size of the total moment ... 0.0 μB per formula unit
Crystal system ... hexagonal



Ranking the structures above by energy, arrangement 1 is first and the second is 8 meV/atom behind.

----------

First-principles (PBE-GGA) data for a relaxed structure of Tb2NdHg5, as listed in the Alexandria database.

a = 5.265 Å, b = 5.265 Å, c = 8.270 Å
α = 108.56°, β = 108.56°, γ = 90.00°
Fractional coordinates of all 8 atoms:
Hg1 0.627 0.127 0.255
Hg2 0.127 0.627 0.255
Hg3 0.500 0.500 0.000
Hg4 0.373 0.873 0.745
Hg5 0.873 0.373 0.745
Tb1 0.733 0.733 0.465
Tb2 0.267 0.267 0.535
Nd1 0.000 0.000 0.000

## Properties
The magnetic moment comes out at 0.000 μB/atom. The value obtained for the total energy is -2.39 eV per atom. Its space group is I4/mmm (139).

----------

Computed, not measured: Ba2ZnNi3F12 after structural relaxation at the PBE+U level of DFT.

Output
Calculated volume ... 14.511 Å³/atom
Raw total energy ... -4.622 eV per atom

```
data_Ba2ZnNi3F12
_space_group_name_H-M_alt 'R -3 m'
_space_group_IT_number 166
_space_group_name_Hall '-R 3 2"'
_cell_length_a 7.1828
_cell_length_b 7.1828
_cell_length_c 17.5374
_cell_angle_alpha 90.00
_cell_angle_beta 90.00
_cell_angle_gamma 120.00
loop_
_atom_site_label
_atom_site_fract_x
_atom_site_fract_y
_atom_site_fract_z
Ba1 0.0000 0.0000 0.1228
Zn1 0.0000 0.0000 0.5000
Ni1 0.0000 0.5000 0.0000
F1 0.0378 0.5189 0.1144
F2 0.0471 0.5236 0.3600
```
└──
**So much for the calculated crystals:**

>non attractive woman in any video game
>wow video games aren't supposed to be realistic guys I want everyone to be a 10/10 wearing bikins regardless of context

>game very loosely based off of historical event in a franchise where historical accuracy has for the better part of a decade been the lowest priority
>wow why isn't everyone in this game white games are supposed to be super realistic

what game is that on the left?

>99% of characters are inspired by accurate written history from 16th century source, locations and settings pretty much accurate
>very loosely
Very loosely = Battlefield 1

They are only making them because people are buying them.

If you, yourself, don't buy it but see them making them and people buying them, then it's because you are out of the loop.

Either adapt or leave.

This profiting multi-billion dollar industry won't change and lose sales to please your Sup Forumsish feelings.

NioH, Dragon of the North DLC

>b-but muh money
The real problem with western society is that democracy allow double digits IQ americans to buy video games

what the fuck is even an anti marxist video game

I don't remember Prototype 2 or Mafia 3 selling big numbers.



Mafia 3 was the best selling Mafia game

It was also the one with the most advertising and exposure to the casual market. Not to mention just being a GTA clone in the end.

Shit thread, roll your shit faggots

>source: company's numbers
>he trust in ubisoft/ea/2K numbers
every new game they release is ''fastest video game selling'' ''broke record numbers''

>cultural marxism

Screenshot this message: Assassins Creed Origins will break record sales.
Ubisoft will claim the game is the best launch in their history

They did this with The Division, Watch Dogs 2 and For Honor.


left or right Sup Forums?

I don't give a fuck

Still doesn't change the fact that it did sell very well.

What you're suggesting is fraud and since they're public companies can get them fined tens of millions of dollars and land the executives in jail.

>30% are the same
What a cop out.

Why does the right one look like 50cent with lipstick on?

2K can easily just make up numbers if the only source is from them. I wouldn't be surprised if it did outsell 1 and 2 solely on the fact that 3 actually had decent marketing, but it dropped in price so fast and nobody was talking about it a week after release so I still remain skeptical as to how good it actually did according to 2K.

>since they're public companies
>he believes in the market share meme
reddit plz

why do so many people have a problem with a materialist philosopher from the 19th century ?

rolling for waifu

rollin for qt

Elf please.

>Rabbi Moses Mordecai Levy later changed his name to Karl marx

>my life is shit

>interesting cyber punk game about the dangers of modern progressivism announced
>within a day the leftists hunted down and harassed the dev to change it or suffer consequences that we all know the industry would've allowed to happen
>he cries, apologizes and changes the narrative to some generic crap to give them their way
It's really not fair, why do they hold do much power?

fuck off

Sup Forums is the leading board of this site for good reason

they are more smart, intelligent and rational than any other subreddit or board on this shit site

if you can't take intelligent conversation then go the fuck back to >>/lgbt/

You know why, don't play dumb.

except for people dont buy them and they still keep making them

mafia 3 and mirrors edge 2 were massive flops

it's because western gamedevs are receiving (((outside incentives))) from pic related

>Karl Marx's father was Rabbi Hirschel Mordechai Levy and mother Henriette Pressburg.
>99% of communist literature don't tell people about his birth name (jewish name)
I wonder why

>they are more smart, intelligent and rational than any other subreddit or board on this shit site
For the longest time I've wondered if you're just a falseflagger but I think I got my answer now. I can't imagine anyone lacking this much self-awareness unless it was being done purposely.

The fact you 12 year olds take yourself seriously is the scary thing.
At least Sup Forums knows it's shit.

look at me rollin


>Demonizing Marx because le juice meme

Marx's ideas were great. It was the implentation that sucked.

Who could be behind this post?

>caring about the story in your video game to begin with
>wanting fap fuel and/or gender politics in the first place
>not just wanting good gameplay

This is your fault for wanting AAA slop and indies that just want to "tell a story".


Cruel to post this on a board with no dubs.

>Rabbi Moses Mordecai Levy later changed his name to Karl marx
This is false.

we get it leftypol you're really angry

not everyone is born a winner

>now the fact 99% of communist literature hide his birth name and that he was friend of very rich english bankers is irrelevant
>he believes he didn't write Das Kapital based on his conversation with british bankers
that's why american college is worse than reading wikipedia

>Marvel began making their comics more diverse
>No one buys them and alienated their fans
>Video game companies begin making their games more diverse
What do you think is going to happen, Sup Forums?

Bullshit. Marx's ideas were garbage to their core. The fundamental notion of 'From each according to his ability, to eat according to his need' is one that spreads the cancer of sloth throughout a population the more it is stamped into the society. All derivations of Marxism, from cultural Marxism to Marxist Socialism to Communism, all fail ideologically, long before they are implemented. Their attempted implementations consistently lead to massive starvation and death events

They don't. You're letting your imagination get the better of you.


and I funded it all

white men cannot be allowed enjoyment

it's correct. Marx birth name was: Moses Mordecai ''Carl'' Levy

Yes, that's right, CARL not Karl. His father changed his name (and his son name) years after he was born.

Yeah everyone knows that the larger a board is, the more intelligent it is, the better the discussion is, and the fewer newfags and redditors it attracts.

fuck off

you're the twelve year old you fucking retarded leftist

i swear i can't wait for the civil war to eventually come so i can wipe all you leftshits out and then we can have an actually good soecity with real free speech with no leftist cucks to destory it

Do you...honestly believe anyone with left leaning politics would browse Sup Forums and isn't just a falseflagger?

>Many problematic comments
Can't they try to work on their subject ?

redditors(the right wing ones at least)are smarter than most of the degenerates on Sup Forums, Sup Forums, Sup Forums and /lgbt/

newshit detected



Friendly reminder that "cultural marxism" doesn't exist, and the concept itself doesn't have anything marxist in it, you've just been brainwashed by america's government into believing that communism is the greatest evil ever, because of the cold war.

And because it's "evil" you associate everything you don't like to communism/marxism/socialism.

Leftypol is an 8ch board.

/leftypol/closed because they moved to Sup Forums
That was even before the election

at least get a new picture goddamn

What's wrong with Mafia 3 or Mirror's Edge 2?

>leftypol falseflagger calling everyone else leftypol

whats up with black women and the wild hair and nose pearicings? Are they trying to appropriate the savage bone in the nose look or something?

Any slime, centaur, nightmare, werebat or lamia.

Why are burgers so retarded?

>Not a single futa waifu
It's shit.

>Fake sales!!!

I just gave a pretty good example of it. Should've known there'd be lefties in damage control here.

Grandfather, not father.

Someone pasted data records at this point >
Here is a relaxed FeSeCl2 crystal from Alexandria via LeMat-Bulk. Energies are from PBE.

Summary:
Theoretical density: 4.7 g/cm³
SG: No. 225
Spin magnetization: 2.84 μB per cell
Energy above the lowest structure with this stoichiometry: 1001 meV/atom
D(E_F): 6.239 states/eV/cell

abc: 4.6756 4.6756 4.6756
angles: 60.00 60.00 60.00
Last column: nearest neighbours and their distance in Å.
Atoms (fractional coordinates):
Fe 0.0000 0.0000 0.0000  8 Cl 2.86
Se 0.5000 0.5000 0.5000  8 Cl 2.86
Cl 0.2500 0.2500 0.2500  4 Se 2.86, 4 Fe 2.86
Cl 0.7500 0.7500 0.7500  4 Fe 2.86, 4 Se 2.86

=====

Entry 1:
Density functional theory data (GGA-PBEsol) for crystalline SiGeTeI2 at its relaxed geometry.

Uncorrected formation energy, kJ/mol of formula units: 297
M_tot, μB/atom: 0.000
Total energy, eV/cell: -14.67

Cell and atoms, written as CIF:
```
data_SiGeTeI2
_chemical_formula_sum 'Si1 Ge1 Te1 I2'
_cell_length_a 5.4054
_cell_length_b 5.4054
_cell_length_c 5.5460
_cell_angle_alpha 90.00
_cell_angle_beta 90.00
_cell_angle_gamma 90.00
_symmetry_space_group_name_H-M 'P 4/m m m'
_symmetry_Int_Tables_number 123
_symmetry_space_group_name_Hall '-P 4 2'
loop_
_atom_site_label
_atom_site_fract_x
_atom_site_fract_y
_atom_site_fract_z
Si1 0.0000 0.0000 0.0000
Ge1 0.5000 0.5000 0.5000
Te1 0.5000 0.5000 0.0000
I1 0.0000 0.5000 0.5000
```

=====

Entry 2:
Density functional theory data (GGA-PBEsol) for crystalline Na2PdF4 at its relaxed geometry.

Uncorrected formation energy, kJ/mol of formula units: -1424
M_tot, μB/atom: 0.000
Total energy, eV/cell: -62.46

Cell and atoms, written as CIF:
```
data_Na2PdF4
_chemical_formula_sum 'Na4 Pd2 F8'
_cell_length_a 3.4135
_cell_length_b 5.5750
_cell_length_c 10.0318
_cell_angle_alpha 90.00
_cell_angle_beta 94.96
_cell_angle_gamma 90.00
_symmetry_space_group_name_H-M 'P 1 21/c 1'
_symmetry_Int_Tables_number 14
loop_
_symmetry_equiv_pos_as_xyz
'x,y,z'
'-x,-y,-z'
'-x,y+1/2,-z+1/2'
'x,-y+1/2,z+1/2'
loop_
_atom_site_label
_atom_site_fract_x
_atom_site_fract_y
_atom_site_fract_z
Na1 0.2168 0.0449 0.1512
Pd1 0.5000 0.0000 0.5000
F1 0.2885 0.6772 0.8392
F2 0.2924 0.1942 0.9256
```

=====

Entry 3:
Density functional theory data (GGA-PBEsol) for crystalline LaGa3Cu at its relaxed geometry.

Formation enthalpy at 0 K, eV/atom: -0.56
M_tot, μB/atom: 0.000
Total energy, eV/cell: -44.99
Offset from the most stable computed form, eV per formula unit: 0.000

Cell and atoms, written as CIF:
```
data_LaGa3Cu
_chemical_formula_sum 'La2 Ga6 Cu2'
_cell_length_a 4.2083
_cell_length_b 4.2083
_cell_length_c 10.4386
_cell_angle_alpha 90.00
_cell_angle_beta 90.00
_cell_angle_gamma 90.00
_symmetry_space_group_name_H-M 'I -4 m 2'
_symmetry_Int_Tables_number 119
_symmetry_space_group_name_Hall 'I -4 -2'
loop_
_atom_site_label
_atom_site_fract_x
_atom_site_fract_y
_atom_site_fract_z
La1 0.0000 0.0000 0.0000
Ga1 0.0000 0.0000 0.3807
Ga2 0.0000 0.5000 0.7500
Cu1 0.0000 0.5000 0.2500
```

=====

Entry 4:

Is this why Sup Forums has been invading every other board? They were driven out of their hugbox by trumpfags?

Some will sell, some wont? Overwatch is diverse and it printed fucking money. All that matters is execution, marketing, quality and name, and if you've got enough of one, you can have less of the rest.

after less than a year of being out it is now being sold for 20 bucks. That's not a good selling game.

ironically girl to the left has fucked up facial proportions

>they are more smart, intelligent and rational than any other subreddit or board on this shit site

Hi OP, I'm French

they flopped